[Material]
/*
A 2-piece molecular cluster, C8H11ClNO3S overall. Source: OMol25; level of theory: the ωB97M-V functional and the def2-TZVPD basis.

Properties
total charge	-1
E_LUMO	0.0956	Ha
HOMO energy	-5.2	eV

Bonds (Å) are listed after each position.
Cartesian coordinates (Å):
1 Cl -2.703 -1.400 -0.135  C12 1.703
2 S -3.354 1.280 -1.350  C12 1.662
3 O -1.188 0.813 2.344  C13 1.262
4 O -0.072 -1.133 2.668  C13 1.253
5 O 1.041 -1.626 -1.964  C7 1.208
6 N 0.407 -1.535 0.206  C7 1.299, C14 1.421, H22 0.992
7 C 0.881 -2.098 -0.864  O5 1.208, N6 1.299, C11 1.586
8 C 0.083 2.308 0.205  C9 1.555, C10 1.522, H17 1.046, H23 1.121
9 C 0.434 0.846 -0.194  C8 1.555, C14 1.329, H19 1.173
10 C 1.147 3.209 -0.405  C8 1.522, H15 1.182, H16 1.050, H24 1.043
11 C 1.007 -3.677 -0.777  C7 1.586, H20 1.008, H21 1.008, H25 1.009
12 C -2.825 0.299 -0.117  Cl1 1.703, S2 1.662, H18 1.194
13 C -0.416 -0.126 2.005  O3 1.262, O4 1.253, C14 1.531
14 C 0.111 -0.193 0.569  N6 1.421, C9 1.329, C13 1.531
15 H 2.162 3.305 0.192  C10 1.182
16 H 0.786 4.193 -0.460  C10 1.050
17 H 0.024 2.518 1.228  C8 1.046
18 H -2.520 0.878 0.880  C12 1.194
19 H 0.880 0.617 -1.254  C9 1.173
20 H 1.391 -3.958 -1.666  C11 1.008
21 H 1.674 -3.907 -0.058  C11 1.008
22 H 0.425 -2.179 0.961  N6 0.992
23 H -0.914 2.618 -0.204  C8 1.121
24 H 1.437 2.916 -1.363  C10 1.043
25 H 0.100 -3.968 -0.445  C11 1.009

A 2-piece molecular cluster, C8H11ClNPS overall. Source: OMol25; level of theory: the ωB97M-V functional and the def2-TZVPD basis.

Properties
SMILES string	Cl/P=N\c1ccccc1.CCS
energy relative to the best compared isomer or geometry (same formula, charge and spin)	36.4	kcal/mol
total charge	0
E_LUMO	-0.0376	Ha
HOMO energy	-8.8	eV

Bonds (Å) are listed after each position.
Cartesian coordinates (Å):
1 Cl -4.346 0.713 0.629  P3 2.186
2 S 1.382 3.719 0.690  C6 1.912, H20 1.347
3 P -2.949 1.579 -0.812  Cl1 2.186, N4 1.554
4 N -1.768 0.576 -0.932  P3 1.554, C12 1.361
5 C -0.912 -1.652 -1.143  C8 1.329, C12 1.401, H14 1.023
6 C 2.297 2.442 -0.400  S2 1.912, C9 1.539, H17 1.159, H21 1.189
7 C -0.328 -2.993 0.767  C8 1.408, C10 1.374, H18 1.035
8 C -0.547 -2.815 -0.612  C5 1.329, C7 1.408, H13 1.086
9 C 1.945 0.974 -0.096  C6 1.539, H15 0.985, H22 1.034, H23 1.006
10 C -0.597 -1.928 1.593  C7 1.374, C11 1.434, H19 1.152
11 C -1.142 -0.717 1.053  C10 1.434, C12 1.422, H16 1.074
12 C -1.263 -0.549 -0.354  N4 1.361, C5 1.401, C11 1.422
13 H -0.417 -3.570 -1.382  C8 1.086
14 H -1.008 -1.692 -2.161  C5 1.023
15 H 2.469 0.377 -0.679  C9 0.985
16 H -1.486 0.179 1.534  C11 1.074
17 H 2.098 2.819 -1.477  C6 1.159
18 H 0.041 -3.906 1.084  C7 1.035
19 H -0.550 -2.099 2.731  C10 1.152
20 H 0.511 4.076 -0.274  S2 1.347
21 H 3.440 2.722 -0.227  C6 1.189
22 H 0.959 0.929 -0.405  C9 1.034
23 H 2.171 0.816 0.872  C9 1.006

An isolated ion of composition C8H11F3N3 and charge +1. Source: OMol25; level of theory: the ωB97M-V functional and the def2-TZVPD basis.

Properties
2S+1	3
<S²>	2.034
total charge	+1
E_LUMO (alpha / beta)	-0.1751 / -0.2887	Ha
HOMO energy (alpha / beta)	-11.7 / -14.6	eV

Bonds (Å) are listed after each position.
Cartesian coordinates (Å):
1 F -4.519 0.889 -0.183  C11 1.346
2 F -4.303 -0.929 1.012  C11 1.341
3 F -4.430 -0.920 -1.155  C11 1.293
4 N -1.870 0.949 0.231  C8 1.397, C9 1.346, H25 1.122
5 N 0.151 -0.204 0.349  C8 1.295, C13 1.453
6 N 1.489 2.174 0.237  C12 1.248, C14 1.395
7 C 2.146 -1.307 1.041  C13 1.453, H18 1.064, H22 1.136, H23 1.173
8 C -0.474 0.921 0.211  N4 1.397, N5 1.295, C12 1.492
9 C -2.430 -0.214 -0.153  N4 1.346, C11 1.505, H24 1.170
10 C 1.466 -1.109 -1.330  C13 1.553, H16 1.147, H17 1.120, H19 1.030
11 C -3.931 -0.321 -0.124  F1 1.346, F2 1.341, F3 1.293, C9 1.505
12 C 0.243 2.228 0.253  N6 1.248, C8 1.492, H21 1.091
13 C 1.558 -0.415 0.056  N5 1.453, C7 1.453, C10 1.553, C14 1.644
14 C 2.297 1.053 0.042  N6 1.395, C13 1.644, H15 1.099, H20 1.047
15 H 2.704 1.220 -0.965  C14 1.099
16 H 2.342 -0.769 -1.988  C10 1.147
17 H 1.588 -2.213 -1.181  C10 1.120
*/

[Activity]
Now quote only the last part of the contents earlier on, starting with the line that has "2.668".

[Reply]
4 O -0.072 -1.133 2.668  C13 1.253
5 O 1.041 -1.626 -1.964  C7 1.208
6 N 0.407 -1.535 0.206  C7 1.299, C14 1.421, H22 0.992
7 C 0.881 -2.098 -0.864  O5 1.208, N6 1.299, C11 1.586
8 C 0.083 2.308 0.205  C9 1.555, C10 1.522, H17 1.046, H23 1.121
9 C 0.434 0.846 -0.194  C8 1.555, C14 1.329, H19 1.173
10 C 1.147 3.209 -0.405  C8 1.522, H15 1.182, H16 1.050, H24 1.043
11 C 1.007 -3.677 -0.777  C7 1.586, H20 1.008, H21 1.008, H25 1.009
12 C -2.825 0.299 -0.117  Cl1 1.703, S2 1.662, H18 1.194
13 C -0.416 -0.126 2.005  O3 1.262, O4 1.253, C14 1.531
14 C 0.111 -0.193 0.569  N6 1.421, C9 1.329, C13 1.531
15 H 2.162 3.305 0.192  C10 1.182
16 H 0.786 4.193 -0.460  C10 1.050
17 H 0.024 2.518 1.228  C8 1.046
18 H -2.520 0.878 0.880  C12 1.194
19 H 0.880 0.617 -1.254  C9 1.173
20 H 1.391 -3.958 -1.666  C11 1.008
21 H 1.674 -3.907 -0.058  C11 1.008
22 H 0.425 -2.179 0.961  N6 0.992
23 H -0.914 2.618 -0.204  C8 1.121
24 H 1.437 2.916 -1.363  C10 1.043
25 H 0.100 -3.968 -0.445  C11 1.009

A 2-piece molecular cluster, C8H11ClNPS overall. Source: OMol25; level of theory: the ωB97M-V functional and the def2-TZVPD basis.

Properties
SMILES string	Cl/P=N\c1ccccc1.CCS
energy relative to the best compared isomer or geometry (same formula, charge and spin)	36.4	kcal/mol
total charge	0
E_LUMO	-0.0376	Ha
HOMO energy	-8.8	eV

Bonds (Å) are listed after each position.
Cartesian coordinates (Å):
1 Cl -4.346 0.713 0.629  P3 2.186
2 S 1.382 3.719 0.690  C6 1.912, H20 1.347
3 P -2.949 1.579 -0.812  Cl1 2.186, N4 1.554
4 N -1.768 0.576 -0.932  P3 1.554, C12 1.361
5 C -0.912 -1.652 -1.143  C8 1.329, C12 1.401, H14 1.023
6 C 2.297 2.442 -0.400  S2 1.912, C9 1.539, H17 1.159, H21 1.189
7 C -0.328 -2.993 0.767  C8 1.408, C10 1.374, H18 1.035
8 C -0.547 -2.815 -0.612  C5 1.329, C7 1.408, H13 1.086
9 C 1.945 0.974 -0.096  C6 1.539, H15 0.985, H22 1.034, H23 1.006
10 C -0.597 -1.928 1.593  C7 1.374, C11 1.434, H19 1.152
11 C -1.142 -0.717 1.053  C10 1.434, C12 1.422, H16 1.074
12 C -1.263 -0.549 -0.354  N4 1.361, C5 1.401, C11 1.422
13 H -0.417 -3.570 -1.382  C8 1.086
14 H -1.008 -1.692 -2.161  C5 1.023
15 H 2.469 0.377 -0.679  C9 0.985
16 H -1.486 0.179 1.534  C11 1.074
17 H 2.098 2.819 -1.477  C6 1.159
18 H 0.041 -3.906 1.084  C7 1.035
19 H -0.550 -2.099 2.731  C10 1.152
20 H 0.511 4.076 -0.274  S2 1.347
21 H 3.440 2.722 -0.227  C6 1.189
22 H 0.959 0.929 -0.405  C9 1.034
23 H 2.171 0.816 0.872  C9 1.006

An isolated ion of composition C8H11F3N3 and charge +1. Source: OMol25; level of theory: the ωB97M-V functional and the def2-TZVPD basis.

Properties
2S+1	3
<S²>	2.034
total charge	+1
E_LUMO (alpha / beta)	-0.1751 / -0.2887	Ha
HOMO energy (alpha / beta)	-11.7 / -14.6	eV

Bonds (Å) are listed after each position.
Cartesian coordinates (Å):
1 F -4.519 0.889 -0.183  C11 1.346
2 F -4.303 -0.929 1.012  C11 1.341
3 F -4.430 -0.920 -1.155  C11 1.293
4 N -1.870 0.949 0.231  C8 1.397, C9 1.346, H25 1.122
5 N 0.151 -0.204 0.349  C8 1.295, C13 1.453
6 N 1.489 2.174 0.237  C12 1.248, C14 1.395
7 C 2.146 -1.307 1.041  C13 1.453, H18 1.064, H22 1.136, H23 1.173
8 C -0.474 0.921 0.211  N4 1.397, N5 1.295, C12 1.492
9 C -2.430 -0.214 -0.153  N4 1.346, C11 1.505, H24 1.170
10 C 1.466 -1.109 -1.330  C13 1.553, H16 1.147, H17 1.120, H19 1.030
11 C -3.931 -0.321 -0.124  F1 1.346, F2 1.341, F3 1.293, C9 1.505
12 C 0.243 2.228 0.253  N6 1.248, C8 1.492, H21 1.091
13 C 1.558 -0.415 0.056  N5 1.453, C7 1.453, C10 1.553, C14 1.644
14 C 2.297 1.053 0.042  N6 1.395, C13 1.644, H15 1.099, H20 1.047
15 H 2.704 1.220 -0.965  C14 1.099
16 H 2.342 -0.769 -1.988  C10 1.147
17 H 1.588 -2.213 -1.181  C10 1.120